Argus Implementation

The Argus system has a number of unique implementation features which allow it to deal with multiple rendering processes, point-to-point communication, and load balancing.

┌──
Entry 1:
# PBE-GGA LiNi9S10, relaxed
data_LiNi9S10
_chemical_formula_sum 'Li1 Ni9 S10'
_space_group_name_H-M_alt 'P -1'
_space_group_IT_number 2
_space_group_name_Hall '-P 1'
_cell_length_a 5.966
_cell_length_b 6.249
_cell_length_c 7.927
_cell_angle_alpha 101.13
_cell_angle_beta 111.82
_cell_angle_gamma 90.06
loop_
_atom_site_label
_atom_site_type_symbol
_atom_site_fract_x
_atom_site_fract_y
_atom_site_fract_z
Li1 Li 0.000 0.000 0.000
Ni1 Ni 0.097 0.707 0.198
Ni2 Ni 0.195 0.396 0.393
Ni3 Ni 0.303 0.103 0.600
Ni4 Ni 0.401 0.805 0.806
Ni5 Ni 0.500 0.500 0.000
S1 S 0.081 0.750 0.501
S2 S 0.124 0.634 0.903
S3 S 0.292 0.154 0.892
S4 S 0.320 0.046 0.306
S5 S 0.479 0.543 0.304
# ρ in g/cm³: 5.296
# Offset from the most stable computed form in kcal/mol of atoms: 0.13

***

Entry 2:
# PBE-GGA LiSi6Ni6, relaxed
data_LiSi6Ni6
_chemical_formula_sum 'Li3 Si18 Ni18'
_space_group_name_H-M_alt 'P 6/m m m'
_space_group_IT_number 191
_space_group_name_Hall '-P 6 2'
_cell_length_a 8.4420
_cell_length_b 8.4420
_cell_length_c 7.5863
_cell_angle_alpha 90.00
_cell_angle_beta 90.00
_cell_angle_gamma 120.00
loop_
_atom_site_label
_atom_site_type_symbol
_atom_site_fract_x
_atom_site_fract_y
_atom_site_fract_z
Li1 Li 0.0000 0.0000 0.0000
Li2 Li 0.3333 0.6667 0.5000
Si1 Si 0.0000 0.0000 0.3438
Si2 Si 0.0000 0.3302 0.0000
Si3 Si 0.0000 0.3372 0.5000
Si4 Si 0.3333 0.6667 0.1566
Ni1 Ni 0.0000 0.5000 0.2446
Ni2 Ni 0.1668 0.3336 0.2523
# ρ in g/cm³: 5.613
# Total DFT energy (no corrections) in eV/atom: -5.80

***

Entry 3:
# PBE-GGA LiNp3, relaxed
data_LiNp3
_chemical_formula_sum 'Li2 Np6'
_space_group_name_H-M_alt 'I 4/m m m'
_space_group_IT_number 139
_space_group_name_Hall '-I 4 2'
_cell_length_a 4.483
_cell_length_b 4.483
_cell_length_c 6.321
_cell_angle_alpha 90.00
_cell_angle_beta 90.00
_cell_angle_gamma 90.00
loop_
_atom_site_label
_atom_site_type_symbol
_atom_site_fract_x
_atom_site_fract_y
_atom_site_fract_z
Li1 Li 0.000 0.000 0.000
Np1 Np 0.000 0.000 0.500
Np2 Np 0.000 0.500 0.250
# ρ in g/cm³: 18.768
# Total DFT energy (no corrections) in eV/atom: -9.75

***

Entry 4:
# PBE-GGA LiNpRu2, relaxed
data_LiNpRu2
_chemical_formula_sum 'Li4 Np4 Ru8'
_space_group_name_H-M_alt 'F m -3 m'
_space_group_IT_number 225
_space_group_name_Hall '-F 4 2 3'
_cell_length_a 6.318
_cell_length_b 6.318
_cell_length_c 6.318
_cell_angle_alpha 90.00
_cell_angle_beta 90.00
_cell_angle_gamma 90.00
loop_
_atom_site_label
_atom_site_type_symbol
_atom_site_fract_x
_atom_site_fract_y
_atom_site_fract_z
Li1 Li 0.000 0.000 0.000
Np1 Np 0.000 0.000 0.500
Ru1 Ru 0.250 0.250 0.250
# ρ in g/cm³: 11.747
# Total DFT energy (no corrections) in eV/atom: -8.25

***

Entry 5:
# PBE-GGA Li2O, relaxed
data_Li2O
_chemical_formula_sum 'Li8 O4'
_space_group_name_H-M_alt 'F m -3 m'
_space_group_IT_number 225
_space_group_name_Hall '-F 4 2 3'
_cell_length_a 4.659
_cell_length_b 4.659
_cell_length_c 4.659
_cell_angle_alpha 90.00
_cell_angle_beta 90.00
_cell_angle_gamma 90.00
└──
**The records of crystals stop here**

Figure 1 shows a variety of graphics pipelines. Existing graphics architectures (a) support a single context through a single command processor. This architecture can be extended to multiple command processors by synchronizing immediately between the command processors to determine a valid command sequence and maintaining that sequence through the rest of the system as usual (b). Alternatively, synchronization may be pushed later in the pipeline. In (c) for example synchronization is performed between the geometry processors to allow the command processors to run more freely (assuming sufficient buffering). Argus currently implements this version as well as a version where synchronization is performed within the pixel processors.

Figure 1. A Variety of Graphics Pipelines

A high-level view of a single Argus pipeline (one application processor) is shown in figure 2. A single processor issues immediate-mode graphics commands to the library. These fine-grained commands are streamed into contiguous memory with as little processing by the host CPU as possible. At fixed intervals a small amount of state information is written out to allow independent processing of a one block of the command data (here the blocks are A, B, C, etc...), and an entry for the block is placed in the geometry-processing queue.

Blocks of commands are popped from the queue on demand by the polygon processors. When a block is completed, the resulting block of screen-space triangle data is entered onto the pixel-processing queues of each overlapped tile but not in order of arrival. The order of arrival may be incorrect if one polygon processor finishes a block faster than another. Blocks are bucket sorted by entering them into slots in the queue corresponding to their original sequence. A 'reclaim' pointer is maintained which indicates the extent in the sequence for which all geometry processing is complete. The pixel processors can process filled slots and skip empty slots up to this indicator without fear of skipping over a late arrival.

____________
1.
Crystalline TiNi4GeO8 at its relaxed geometry. Source: Materials Project, functional PBE+U.

Cell lengths 8.366, 8.366, 8.366 Å; angles 90.00, 90.00, 90.00 degrees
Space group F-43m (No. 216)
Symmetry-distinct sites (fractional):
Ti: 0.000 0.000 0.000 [4 per cell]
Ni: 0.126 0.126 0.374 [16 per cell]
Ge: 0.250 0.250 0.750 [4 per cell]
O: 0.125 0.125 0.625 [16 per cell]
O: 0.127 0.127 0.127 [16 per cell]

Results
* V: 10.46 Å³ per atom
* ρ: 5.5 Mg/m³
* total magnetic moment: 7.973 μB/f.u.
* largest piezoelectric modulus: 0.132 C/m²
* energy of formation: -1.94 eV per atom

2.
Crystalline LiFeSbO4 at its relaxed geometry. Source: Materials Project, functional PBE+U.

Cell lengths 6.214, 6.214, 8.599 Å; angles 90.00, 90.00, 90.00 degrees
Space group P4_322 (No. 95)
Symmetry-distinct sites (fractional):
Li: 0.000 0.213 0.000 [4 per cell]
Fe: 0.242 0.242 0.625 [4 per cell]
Sb: 0.234 0.500 0.250 [4 per cell]
O: 0.025 0.265 0.252 [8 per cell]
O: 0.271 0.479 0.014 [8 per cell]

Results
* V: 11.86 Å³ per atom
* ρ: 5.0 Mg/m³
* total magnetic moment: 0.000 μB/f.u.
* energy of formation: -1.95 eV per atom
* relative energy among the computed polymorphs: 0.0023 eV/atom

3.
Crystalline NaNbFeP3O12 at its relaxed geometry. Source: Materials Project, functional PBE+U.

Cell lengths 8.7263, 8.7263, 22.4580 Å; angles 90.00, 90.00, 120.00 degrees
Space group R3c (No. 161, hexagonal axes)
Symmetry-distinct sites (fractional):
Na: 0.0000 0.0000 0.0000 [6 per cell]
Nb: 0.0000 0.0000 0.1484 [6 per cell]
Fe: 0.0000 0.0000 0.3588 [6 per cell]
P: 0.0502 0.3775 0.4229 [18 per cell]
O: 0.0238 0.1924 0.4159 [18 per cell]
O: 0.0250 0.1981 0.6991 [18 per cell]
O: 0.1575 0.4658 0.4781 [18 per cell]
O: 0.1677 0.4702 0.7605 [18 per cell]

Results
* V: 13.71 Å³ per atom
* ρ: 3.1 Mg/m³
* total magnetic moment: 5.000 μB/f.u.
* energy of formation: -2.67 eV per atom

4.
Crystalline Na3VSi4H2O12 at its relaxed geometry. Source: Materials Project, functional PBE+U.

Cell lengths 7.605, 8.789, 9.224 Å; angles 62.46, 83.90, 88.45 degrees
Space group P-1 (No. 2)
Symmetry-distinct sites (fractional):
Na: 0.138 0.103 0.175 [2 per cell]
Na: 0.158 0.646 0.576 [2 per cell]
Na: 0.353 0.763 0.871 [2 per cell]
V: 0.000 0.500 0.000 [1 per cell]
V: 0.500 0.000 0.000 [1 per cell]
Si: 0.102 0.755 0.167 [2 per cell]
Si: 0.235 0.408 0.307 [2 per cell]
Si: 0.276 0.210 0.682 [2 per cell]
Si: 0.386 0.409 0.843 [2 per cell]
H: 0.304 0.016 0.465 [2 per cell]
H: 0.406 0.930 0.362 [2 per cell]
O: 0.059 0.714 0.020 [2 per cell]
O: 0.069 0.163 0.767 [2 per cell]
O: 0.104 0.339 0.225 [2 per cell]
O: 0.139 0.568 0.335 [2 per cell]
O: 0.234 0.532 0.863 [2 per cell]
O: 0.267 0.885 0.118 [2 per cell]
O: 0.270 0.250 0.489 [2 per cell]
O: 0.294 0.925 0.433 [2 per cell]
O: 0.342 0.390 0.678 [2 per cell]
O: 0.406 0.222 0.996 [2 per cell]
O: 0.408 0.054 0.768 [2 per cell]
O: 0.428 0.477 0.201 [2 per cell]

Results
* V: 12.35 Å³ per atom
* ρ: 2.6 Mg/m³
* total magnetic moment: 2.000 μB/f.u.
____________

Figure 2. The Argus Ordering Algorithm

The amount of parallelism within the system can be quite large and quite heterogeneous. Application processing, polygon processing and pixel processing are interleaved on all available CPUs to avoid any dead time as various constraints (ordering constraints, synchronization constraints, or just empty/full queues) cause blocking. To manage this complexity more easily, the Argus system is heavily multithreaded using an optimized internal thread system.

Argus currently implements several pixel-processor load balancing algorithms including static tile distribution, frame-to-frame coherence based algorithms, and hardest-tile-first dynamic tile 'stealing'. Load balancing of the pixel processors is an ongoing research topic -- more information is available here.